The Role of Sealcoating in Preventative Maintenance for Commercial Pavements

Preventative maintenance is the cornerstone of long-lasting, durable commercial pavements. Among the myriad of maintenance strategies, sealcoating stands out as a critical protective measure that can significantly extend the life of asphalt surfaces. This blog post delves into how sealcoating plays an essential role in preventative maintenance for commercial pavements, reducing long-term repair costs and preserving the integrity of your property’s asphalt surfaces.

Understanding Sealcoating

Sealcoating done by paving companies is a process that involves applying a protective layer over asphalt pavements to shield them from the damaging effects of water penetration, oils, UV rays, and other environmental contaminants. This layer not only protects but also enhances the appearance of the asphalt, giving it a fresh, new look.

The Preventative Power of Sealcoating

1. Protection Against the Elements: One of the primary benefits of sealcoating is its ability to protect asphalt pavements from the harsh effects of the weather. UV rays can oxidize the asphalt, causing it to become brittle and crack over time. Water penetration can lead to the erosion of the base material, while freeze-thaw cycles can cause cracks to expand. Sealcoating acts as a barrier, minimizing these risks.

2. Resistance to Oil and Chemical Spills: Commercial pavements are often subjected to oil and chemical spills, which can penetrate the asphalt and weaken its structure. Sealcoating provides a resistant surface that can prevent these spills from causing significant damage, making it easier to clean and maintain the pavement.

3. Cost-Effective Maintenance: By extending the life of asphalt pavements, sealcoating reduces the need for more extensive and costly repairs, such as pothole patching, crack filling, and eventually, resurfacing or repaving. Regular sealcoating, as part of a preventative maintenance program, can save property owners significant amounts of money over the lifespan of their pavement.

4. Enhancing Curb Appeal: Beyond its protective benefits, sealcoating also improves the aesthetic appeal of commercial properties. A well-maintained, sealcoated parking lot or driveway can make a positive first impression on customers and visitors, contributing to the overall image of the business.

**Someone pasted materials data at this point:**
'''
Record 1
The following is a GGA-PBEsol calculation of a relaxed structure of CaZr2Cu, from Alexandria via LeMat-Bulk.

a = 4.866 Å, b = 4.866 Å, c = 4.866 Å
α = 60.00°, β = 60.00°, γ = 60.00°
Atoms (fractional coordinates):
Ca 0.000 0.000 0.000
Zr 0.250 0.250 0.250
Zr 0.750 0.750 0.750
Cu 0.500 0.500 0.500

Values from the calculation:
The symmetry is Fm-3m, No. 225. As for the volume: 20.36 Å³/atom. For the energy of formation from the pure elements, the calculation gives 0.4702 eV/atom.


Record 2
The following is a GGA-PBEsol calculation of a relaxed structure of Zr2RhBr, from Alexandria via LeMat-Bulk.

a = 4.891 Å, b = 4.891 Å, c = 3.158 Å
α = 97.23°, β = 97.23°, γ = 98.80°
Atoms (fractional coordinates):
Zr 0.000 0.500 0.000
Zr 0.500 0.000 0.000
Rh 0.000 0.000 0.500
Br 0.500 0.500 0.500

Values from the calculation:
As for the uncorrected formation energy: -0.405 eV per atom. The symmetry is C2/m, No. 12. As for the volume: 18.31 Å³/atom.


Record 3
The following is a GGA-PBEsol calculation of a relaxed structure of KBeSi3, from Alexandria via LeMat-Bulk.

a = 5.203 Å, b = 5.203 Å, c = 5.203 Å
α = 90.00°, β = 90.00°, γ = 90.00°
Atoms (fractional coordinates):
K 0.000 0.000 0.000
Be 0.500 0.500 0.500
Si 0.000 0.000 0.500
Si 0.000 0.500 0.000
Si 0.500 0.000 0.000

Values from the calculation:
As for the uncorrected formation energy: 2.547 eV per atom. The symmetry is Pm-3m, No. 221. As for the volume: 28.17 Å³/atom.


Record 4
The following is a GGA-PBEsol calculation of a relaxed structure of Fe2AgH, from Alexandria via LeMat-Bulk.

a = 4.059 Å, b = 4.059 Å, c = 4.059 Å
α = 60.00°, β = 60.00°, γ = 60.00°
Atoms (fractional coordinates):
Fe 0.250 0.250 0.250
Fe 0.750 0.750 0.750
Ag 0.000 0.000 0.000
H 0.500 0.500 0.500

Values from the calculation:
The symmetry is Fm-3m, No. 225. As for the volume: 11.82 Å³/atom. Its total energy is -5.15 eV/atom.


Record 5
The following is a GGA-PBEsol calculation of a relaxed structure of Mg3In5, from Alexandria via LeMat-Bulk.

a = 8.638 Å, b = 8.638 Å, c = 8.638 Å
α = 96.53°, β = 96.53°, γ = 140.60°
Atoms (fractional coordinates):
Mg 0.180 0.680 0.859
Mg 0.250 0.250 0.000
Mg 0.320 0.180 0.500
Mg 0.680 0.820 0.500
Mg 0.750 0.750 0.000
Mg 0.820 0.320 0.141
In 0.066 0.235 0.301
In 0.235 0.934 0.169
In 0.250 0.750 0.500
In 0.265 0.434 0.699
In 0.434 0.735 0.169
In 0.566 0.265 0.831
In 0.735 0.566 0.301
In 0.750 0.250 0.500
In 0.765 0.066 0.831
In 0.934 0.765 0.699

Values from the calculation:
The symmetry is I4/mcm, No. 140. As for the volume: 24.07 Å³/atom. For the energy of formation from the pure elements, the calculation gives -0.0335 eV/atom.


Record 6
The following is a GGA-PBEsol calculation of a relaxed structure of Rb3ScBe, from Alexandria via LeMat-Bulk.

a = 7.109 Å, b = 7.109 Å, c = 7.109 Å
α = 90.00°, β = 90.00°, γ = 90.00°
Atoms (fractional coordinates):
Rb 0.000 0.000 0.500
Rb 0.000 0.500 0.000
Rb 0.500 0.000 0.000
Sc 0.000 0.000 0.000
Be 0.500 0.500 0.500

Values from the calculation:
'''
**The piece goes on:**

Implementing a Sealcoating Schedule

For optimal protection, commercial pavements should be sealcoated every two to three years, depending on traffic volume and environmental conditions. The best time for sealcoating is during warmer months, as the sealant requires temperatures above 50°F to cure properly. Planning your sealcoating projects during spring or summer ensures the pavement has ample time to dry and cure, providing maximum protection against the elements.

Choosing a Professional Sealcoating Service

While some maintenance tasks can be handled in-house, sealcoating is best left to professionals. A reputable sealcoating service will have the expertise, equipment, and high-quality materials needed to ensure the job is done right. They can also provide valuable advice on other preventative maintenance measures to keep your pavement in top condition.


Sealcoating is an indispensable component of a comprehensive preventative maintenance plan for commercial pavements. Its protective benefits, coupled with its cost-effectiveness and aesthetic appeal, make it a wise investment for any property owner. By incorporating regular sealcoating into your maintenance schedule, you can ensure that your commercial pavements remain functional, safe, and visually appealing for years to come. Remember, preventative maintenance, including sealcoating, is not just about preserving asphalt—it’s about investing in the longevity and success of your property.